Undertaking by Ticketmaster - Singapore Pte Ltd


On 1 December 2023, Personal Data Protection Commission (the “Commission”) commenced investigations against Ticketmaster – Singapore Pte. Ltd. (the “Organisation”) upon being alerted that users trying to buy tickets to an event on the Organisation’s website were able to access and view another user’s Ticketmaster account (the “Incident”).

As a result of the Incident, the personal data of a user, including their names, phone numbers, email addresses and order information (but not the ticket barcodes), was disclosed to a different user. The personal data of about 400 individuals was affected.

- - -
An optimized crystal structure of KNa6Ga4, computed with PBE-GGA.

Cell: 7.753 7.753 7.889 Å, 119.43 119.43 90.00°
Element x y z (fractional)
Ga 0.206 0.206 0.126
Ga 0.794 0.081 0.874
Ga 0.081 0.794 0.874
Ga 0.919 0.919 0.126
Na 0.979 0.979 0.566
Na 0.500 0.000 0.000
Na 0.413 0.021 0.434
Na 0.000 0.500 0.000
Na 0.021 0.413 0.434
Na 0.587 0.587 0.566
K 0.500 0.500 0.000

Calculated values
magnetization: 0.000 μB per atom
crystal system: tetragonal
V: 31.00 Å³/atom
E: -1.99 eV per atom
calculated density: 2.220 g/cm³

=====

No. 1
Material: PuUPaMo
Method: DFT, PBE-GGA
State: optimized geometry

- Space group: F-43m (216)
- DOS at the Fermi energy: 2.380 states/eV per atom
- Energy relative to the elements: 22 kJ per mole of atoms

Unit cell a=6.959 b=6.959 c=6.959 alpha=90.00 beta=90.00 gamma=90.00
Atoms (fractional coordinates):
1 Pu 0.000 0.000 0.000
2 Pu 0.000 0.500 0.500
3 Pu 0.500 0.000 0.500
4 Pu 0.500 0.500 0.000
5 U 0.250 0.250 0.750
6 U 0.250 0.750 0.250
7 U 0.750 0.250 0.250
8 U 0.750 0.750 0.750
9 Pa 0.250 0.250 0.250
10 Pa 0.250 0.750 0.750
11 Pa 0.750 0.250 0.750
12 Pa 0.750 0.750 0.250
13 Mo 0.000 0.000 0.500
14 Mo 0.000 0.500 0.000
15 Mo 0.500 0.000 0.000
16 Mo 0.500 0.500 0.500

---

No. 2
Material: PuPaZnMo
Method: DFT, PBE-GGA
State: optimized geometry

- Space group: F-43m (216)
- DOS at the Fermi energy: 2.602 states/eV per atom
- Energy relative to the elements: 18 kJ per mole of atoms

Unit cell a=6.961 b=6.961 c=6.961 alpha=90.00 beta=90.00 gamma=90.00
Atoms (fractional coordinates):
1 Pu 0.000 0.000 0.000
2 Pu 0.000 0.500 0.500
3 Pu 0.500 0.000 0.500
4 Pu 0.500 0.500 0.000
5 Pa 0.000 0.000 0.500
6 Pa 0.000 0.500 0.000
7 Pa 0.500 0.000 0.000
8 Pa 0.500 0.500 0.500
9 Zn 0.250 0.250 0.250
10 Zn 0.250 0.750 0.750
11 Zn 0.750 0.250 0.750
12 Zn 0.750 0.750 0.250
13 Mo 0.250 0.250 0.750
14 Mo 0.250 0.750 0.250
15 Mo 0.750 0.250 0.250
16 Mo 0.750 0.750 0.750

---

No. 3
Material: PuZrPaMo
Method: DFT, PBE-GGA
State: optimized geometry

- Space group: F-43m (216)
- DOS at the Fermi energy: 2.019 states/eV per atom
- Energy relative to the elements: 11 kJ per mole of atoms

Unit cell a=6.974 b=6.974 c=6.974 alpha=90.00 beta=90.00 gamma=90.00
Atoms (fractional coordinates):
1 Pu 0.000 0.000 0.000
2 Pu 0.000 0.500 0.500
3 Pu 0.500 0.000 0.500
4 Pu 0.500 0.500 0.000
5 Zr 0.250 0.250 0.750
6 Zr 0.250 0.750 0.250
7 Zr 0.750 0.250 0.250
8 Zr 0.750 0.750 0.750
9 Pa 0.250 0.250 0.250
10 Pa 0.250 0.750 0.750
11 Pa 0.750 0.250 0.750
12 Pa 0.750 0.750 0.250
13 Mo 0.000 0.000 0.500
14 Mo 0.000 0.500 0.000
15 Mo 0.500 0.000 0.000
16 Mo 0.500 0.500 0.500

---

No. 4
Material: PaReMo
Method: DFT, PBE-GGA
State: optimized geometry

- Space group: I4mm (107)
- DOS at the Fermi energy: 0.978 states/eV per atom
- Excess energy over the best structure of this formula in the dataset: 343 meV per atom
- Energy relative to the elements: 28 kJ per mole of atoms

Unit cell a=3.724 b=3.724 c=8.308 alpha=90.00 beta=90.00 gamma=90.00
- - -

Investigations revealed that the Incident occurred because the Organisation had failed to configure its content distribution network (“CDN”) software correctly when the Organisation upgraded its software. The users’ personal data was stored as shared cache objects based on the users’ IP address. This led to a user’s personal data being shown to another user if these users had been assigned to the same IP address when using the Organisation’s website.

The Commission also found that the Organisation did not detect the misconfiguration as it conducted limited testing after the software upgrade. 

Remedial Actions

Upon discovering the incident, the Organisation immediately took the following actions:

(a) Rolled back its CDN software to an earlier version which resolved the cause of the Incident; and

(b) Developed a dedicated testing environment for its CDN software.

Voluntary Undertaking

Having considered the circumstances of the case, including the remedial steps taken by the Organisation, the Commission accepted a voluntary undertaking on 9 April 2024 (the “Undertaking”) from the Organisation to improve its compliance with the Personal Data Protection Act 2012 (“PDPA”).

The Organisation provided a comprehensive remediation plan to the Commission that sought to rectify the gaps identified during our investigations. As part of the Undertaking, the Organisation will be reviewing its internal onboarding processes and conduct appropriate training to its employees. The Organisation will also be exploring the use of an automated testing framework with a larger pool of test accounts that will help in the better identification of any anomalies.

• Someone pasted data records at this point:
-- begin --
The following is a DFT calculation (PBE-GGA) of a relaxed structure of CoCu2Ni.

The structure belongs to space group R3m (No. 160, hexagonal axes); the cell edges are 2.5088, 2.5088 and 24.9829 Å and the angles 90.00°, 90.00° and 120.00°. The inequivalent atoms are Co at (0.0000, 0.0000, 0.0000), Cu at (0.0000, 0.0000, 0.5032), Cu at (0.0000, 0.0000, 0.7510) and Ni at (0.0000, 0.0000, 0.2535).

The value obtained for the density of states at the Fermi level is 3.164 states/eV/f.u.



The following is a DFT calculation (PBE-GGA) of a relaxed structure of Co2CuNi3.

The structure belongs to space group P-3m1 (No. 164); the cell edges are 4.9946, 4.9946 and 6.1440 Å and the angles 90.00°, 90.00° and 120.00°. The inequivalent atoms are Co at (0.0000, 0.0000, 0.0000), Co at (0.0000, 0.5000, 0.0000), Cu at (0.3333, 0.6667, 0.3364) and Ni at (0.1656, 0.3311, 0.6708).

The value obtained for the density of states at the Fermi level is 7.393 states/eV/f.u. The energy above the most stable polymorph in this dataset is 35 meV/atom.



The following is a DFT calculation (PBE-GGA) of a relaxed structure of CoCu2Ni9.

The structure belongs to space group P4/mmm (No. 123); the cell edges are 3.536, 3.536 and 10.594 Å and the angles 90.00°, 90.00° and 90.00°. The inequivalent atoms are Co at (0.000, 0.000, 0.000), Cu at (0.000, 0.000, 0.333), Ni at (0.000, 0.500, 0.164), Ni at (0.000, 0.500, 0.500), Ni at (0.500, 0.500, 0.000) and Ni at (0.500, 0.500, 0.332).

The value obtained for the density of states at the Fermi level is 15.342 states/eV/f.u.



The following is a DFT calculation (PBE-GGA) of a relaxed structure of CoCu2Ni.

The structure belongs to space group Pmm2 (No. 25); the cell edges are 2.526, 3.555 and 5.079 Å and the angles 90.00°, 90.00° and 90.00°. The inequivalent atoms are Co at (0.000, 0.000, 0.000), Cu at (0.000, 0.000, 0.512), Cu at (0.500, 0.500, 0.265) and Ni at (0.500, 0.500, 0.777).

The value obtained for the density of states at the Fermi level is 3.842 states/eV/f.u.



The following is a DFT calculation (PBE-GGA) of a relaxed structure of Co2Cu3Ni6.

The structure belongs to space group R-3m (No. 166, hexagonal axes); the cell edges are 2.5016, 2.5016 and 67.7567 Å and the angles 90.00°, 90.00° and 120.00°. The inequivalent atoms are Co at (0.0000, 0.0000, 0.0449), Cu at (0.0000, 0.0000, 0.2278), Cu at (0.0000, 0.0000, 0.5000), Ni at (0.0000, 0.0000, 0.1361), Ni at (0.0000, 0.0000, 0.3182) and Ni at (0.0000, 0.0000, 0.4079).

The value obtained for the density of states at the Fermi level is 11.577 states/eV/f.u.



The following is a DFT calculation (PBE-GGA) of a relaxed structure of CoCu2Ni.

The structure belongs to space group Cm (No. 8); the cell edges are 8.316, 2.495 and 4.446 Å and the angles 90.00°, 98.83° and 90.00°. The inequivalent atoms are Co at (0.000, 0.000, 0.000), Cu at (0.248, 0.000, 0.727), Cu at (0.496, 0.000, 0.490) and Ni at (0.245, 0.500, 0.218).
-- stop --

The Commission accepted the Undertaking having considered the number of affected individuals, the types of personal data involved and the impact of the Incident. Accepting the Undertaking was also consistent with the Commission’s practice with respect to other similar personal data breaches.

The Commission will be verifying the Organisation’s compliance with its Undertaking. If the Organisation fails to comply with any terms of the Undertaking, the Commission may issue a direction so as to ensure the Organisation’s compliance with the Undertaking.